'''
Diffraction record for Tl3TeSe2. The XRD peak list is simulated, not measured: it uses the GGA-PBE geometry in Alexandria and Cu Kα, 1.54184 Å.
No peak broadening, texture or thermal motion is included.

Crystal structure
Cell: 8.5166 8.5166 19.3617 Å, 90.00 90.00 120.00°
Space group R-3c (No. 167, hexagonal axes)
Symmetry-distinct sites (fractional):
Tl 0.0000 0.2961 0.2500 x18
Te 0.0000 0.0000 0.0000 x6
Se 0.0000 0.0000 0.1480 x12

Principal peaks in the range 2θ from 10° to 80°, low angle first:
- (1 1 3), 2θ 25.05, d = 3.554 Å, I 100
- (1 1 6), 2θ 34.88, d = 2.572 Å, I 49
- (3 0 0), 2θ 36.55, d = 2.459 Å, I 49
- (1 1 9), 2θ 47.34, d = 1.920 Å, I 19
- (2 2 6), 2θ 51.42, d = 1.777 Å, I 15
- (3 1 8), 2θ 59.15, d = 1.562 Å, I 15

=====

TiAg3S4: theoretical powder XRD pattern (CuKα), based on a crystal structure in Alexandria, relaxed with PBE.
Lines closer than 0.1° are merged.

Most intense lines, 2θ from 5° to 70°, in order of rising 2θ:
2θ (°), intensity, (hkl)
27.1, 100, 1 1 2
31.3, 13, 2 0 0
31.4, 7, 0 0 4
44.9, 56, 2 2 0
53.2, 28, 3 1 2
53.3, 14, 1 1 6

Atomic structure:
```
TiAg3S4
1.0
5.711 0.000 0.000
0.000 5.711 0.000
0.000 0.000 11.386
Ti Ag S
2 6 8
Direct
0.000 0.000 0.000 Ti
0.500 0.500 0.500 Ti
0.000 0.000 0.500 Ag
0.000 0.500 0.250 Ag
0.000 0.500 0.750 Ag
0.500 0.000 0.250 Ag
0.500 0.000 0.750 Ag
0.500 0.500 0.000 Ag
0.231 0.231 0.885 S
0.231 0.769 0.115 S
0.269 0.269 0.385 S
0.269 0.731 0.615 S
0.731 0.269 0.615 S
0.731 0.731 0.385 S
0.769 0.231 0.115 S
0.769 0.769 0.885 S
```

=====

1.
# Ca4Cd5Bi6
Theoretical X-ray powder pattern, Cu Kα (λ = 1.5418 Å). Input: a crystal structure in Alexandria, relaxed with PBE.

Structure:
Cell lengths 11.839, 11.839, 17.278 Å; angles 90.00, 90.00, 156.96 degrees
Positions (direct):
Ca  0.010  0.990  0.500
Ca  0.035  0.965  0.786
Ca  0.157  0.843  0.301
Ca  0.171  0.829  0.959
Ca  0.829  0.171  0.459
Ca  0.843  0.157  0.801
Ca  0.965  0.035  0.286
Ca  0.990  0.010  0.000
Cd  0.142  0.858  0.636
Cd  0.310  0.690  0.928
Cd  0.316  0.684  0.639
Cd  0.346  0.654  0.270
Cd  0.442  0.558  0.715
Cd  0.558  0.442  0.215
Cd  0.654  0.346  0.770
Cd  0.684  0.316  0.139
Cd  0.690  0.310  0.428
Cd  0.858  0.142  0.136
Bi  0.100  0.900  0.123
Bi  0.228  0.772  0.513
Bi  0.235  0.765  0.775
Bi  0.417  0.583  0.413
Bi  0.433  0.567  0.884
Bi  0.442  0.558  0.135
Bi  0.558  0.442  0.635
Bi  0.567  0.433  0.384
Bi  0.583  0.417  0.913
Bi  0.765  0.235  0.275
Bi  0.772  0.228  0.013
Bi  0.900  0.100  0.623

Most intense lines, 15° ≤ 2θ ≤ 90°, in order of rising 2θ:
2theta, intensity
21.76, 53
21.96, 60
22.64, 60
25.71, 42
28.25, 36
31.15, 100
38.07, 67
39.20, 65
39.83, 37
42.96, 50

2.
# Nd4Dy3Te8
Theoretical X-ray powder pattern, Cu Kα (λ = 1.5418 Å). Input: a crystal structure in Alexandria, relaxed with PBE.

Structure:
Cell lengths 8.827, 8.827, 8.828 Å; angles 119.97, 119.97, 90.03 degrees
Positions (direct):
Nd  0.000  0.000  0.000
Nd  0.000  0.000  0.500
Nd  0.000  0.500  0.000
Nd  0.500  0.000  0.000
Dy  0.000  0.500  0.500
Dy  0.500  0.000  0.500
Dy  0.500  0.500  0.000
Te  0.254  0.746  0.000
Te  0.259  0.741  0.500
Te  0.262  0.262  0.017
Te  0.262  0.262  0.508
Te  0.738  0.738  0.492
Te  0.738  0.738  0.983
Te  0.741  0.259  0.500
Te  0.746  0.254  0.000

Most intense lines, 15° ≤ 2θ ≤ 90°, in order of rising 2θ:
2theta, intensity
20.11, 3
23.63, 4
28.60, 100
31.22, 3
40.88, 76
50.65, 27
59.20, 13
67.04, 34
74.45, 25
88.62, 8

=====

The following is a calculated X-ray powder pattern of NbCoAs. It was derived from the PBE geometry in Alexandria, using Cu Kα (λ = 1.5418 Å).
Peak positions follow from Bragg's law for the DFT cell and can differ from measured ones.

Cell and atoms:
```
NbCoAs
1.0
6.317 0.000 0.000
0.000 3.759 0.000
0.000 0.000 7.168
Nb Co As
4 4 4
Cartesian
0.154 0.940 1.232 Nb
3.005 2.819 4.816 Nb
3.312 0.940 2.352 Nb
6.164 2.819 5.936 Nb
0.948 0.940 4.036 Co
2.210 2.819 0.452 Co
4.107 0.940 6.716 Co
5.369 2.819 3.132 Co
1.396 2.819 2.712 As
1.762 0.940 6.297 As
'''

What is needed: repeat the part of the listing further above that starts with the line with "2.459 Å," and stops after the one with "20.11,".

- (3 0 0), 2θ 36.55, d = 2.459 Å, I 49
- (1 1 9), 2θ 47.34, d = 1.920 Å, I 19
- (2 2 6), 2θ 51.42, d = 1.777 Å, I 15
- (3 1 8), 2θ 59.15, d = 1.562 Å, I 15

=====

TiAg3S4: theoretical powder XRD pattern (CuKα), based on a crystal structure in Alexandria, relaxed with PBE.
Lines closer than 0.1° are merged.

Most intense lines, 2θ from 5° to 70°, in order of rising 2θ:
2θ (°), intensity, (hkl)
27.1, 100, 1 1 2
31.3, 13, 2 0 0
31.4, 7, 0 0 4
44.9, 56, 2 2 0
53.2, 28, 3 1 2
53.3, 14, 1 1 6

Atomic structure:
```
TiAg3S4
1.0
5.711 0.000 0.000
0.000 5.711 0.000
0.000 0.000 11.386
Ti Ag S
2 6 8
Direct
0.000 0.000 0.000 Ti
0.500 0.500 0.500 Ti
0.000 0.000 0.500 Ag
0.000 0.500 0.250 Ag
0.000 0.500 0.750 Ag
0.500 0.000 0.250 Ag
0.500 0.000 0.750 Ag
0.500 0.500 0.000 Ag
0.231 0.231 0.885 S
0.231 0.769 0.115 S
0.269 0.269 0.385 S
0.269 0.731 0.615 S
0.731 0.269 0.615 S
0.731 0.731 0.385 S
0.769 0.231 0.115 S
0.769 0.769 0.885 S
```

=====

1.
# Ca4Cd5Bi6
Theoretical X-ray powder pattern, Cu Kα (λ = 1.5418 Å). Input: a crystal structure in Alexandria, relaxed with PBE.

Structure:
Cell lengths 11.839, 11.839, 17.278 Å; angles 90.00, 90.00, 156.96 degrees
Positions (direct):
Ca  0.010  0.990  0.500
Ca  0.035  0.965  0.786
Ca  0.157  0.843  0.301
Ca  0.171  0.829  0.959
Ca  0.829  0.171  0.459
Ca  0.843  0.157  0.801
Ca  0.965  0.035  0.286
Ca  0.990  0.010  0.000
Cd  0.142  0.858  0.636
Cd  0.310  0.690  0.928
Cd  0.316  0.684  0.639
Cd  0.346  0.654  0.270
Cd  0.442  0.558  0.715
Cd  0.558  0.442  0.215
Cd  0.654  0.346  0.770
Cd  0.684  0.316  0.139
Cd  0.690  0.310  0.428
Cd  0.858  0.142  0.136
Bi  0.100  0.900  0.123
Bi  0.228  0.772  0.513
Bi  0.235  0.765  0.775
Bi  0.417  0.583  0.413
Bi  0.433  0.567  0.884
Bi  0.442  0.558  0.135
Bi  0.558  0.442  0.635
Bi  0.567  0.433  0.384
Bi  0.583  0.417  0.913
Bi  0.765  0.235  0.275
Bi  0.772  0.228  0.013
Bi  0.900  0.100  0.623

Most intense lines, 15° ≤ 2θ ≤ 90°, in order of rising 2θ:
2theta, intensity
21.76, 53
21.96, 60
22.64, 60
25.71, 42
28.25, 36
31.15, 100
38.07, 67
39.20, 65
39.83, 37
42.96, 50

2.
# Nd4Dy3Te8
Theoretical X-ray powder pattern, Cu Kα (λ = 1.5418 Å). Input: a crystal structure in Alexandria, relaxed with PBE.

Structure:
Cell lengths 8.827, 8.827, 8.828 Å; angles 119.97, 119.97, 90.03 degrees
Positions (direct):
Nd  0.000  0.000  0.000
Nd  0.000  0.000  0.500
Nd  0.000  0.500  0.000
Nd  0.500  0.000  0.000
Dy  0.000  0.500  0.500
Dy  0.500  0.000  0.500
Dy  0.500  0.500  0.000
Te  0.254  0.746  0.000
Te  0.259  0.741  0.500
Te  0.262  0.262  0.017
Te  0.262  0.262  0.508
Te  0.738  0.738  0.492
Te  0.738  0.738  0.983
Te  0.741  0.259  0.500
Te  0.746  0.254  0.000

Most intense lines, 15° ≤ 2θ ≤ 90°, in order of rising 2θ:
2theta, intensity
20.11, 3